Million Mile Light — Motion-powered running light
• Unrelated to this article: materials data:
____________
(1)
DFT (PBE) results for a relaxed structure of Re4RhPb.

extended XYZ file:
```
6
Lattice="0.0000 3.7226 3.7226 3.7226 0.0000 3.7226 3.7226 3.7226 0.0000" Properties=species:S:1:pos:R:3 pbc="T T T"
Re 0.9170 0.9170 0.9170
Re 2.8056 2.8056 0.9170
Re 2.8056 0.9170 2.8056
Re 0.9170 2.8056 2.8056
Rh 5.5840 5.5840 5.5840
Pb 3.7226 3.7226 3.7226
```

Calculated values
As for the space group: F-43m (216). For the density of states at the Fermi level, the calculation gives 8.3 states/eV per cell.

---

(2)
DFT (PBE) results for a relaxed structure of MgAlAu2.

extended XYZ file:
```
4
Lattice="1.9294 1.1140 6.1694 -1.9294 1.1140 6.1694 0.0000 -2.2279 6.1694" Properties=species:S:1:pos:R:3 pbc="T T T"
Mg 0.0000 0.0000 0.0000
Al 0.0000 0.0000 3.1367
Au 0.0000 0.0000 10.6770
Au 0.0000 0.0000 14.0523
```

Calculated values
As for the space group: R3m (160). For the density of states at the Fermi level, the calculation gives 0.6 states/eV per cell.

---

(3)
DFT (PBE) results for a relaxed structure of HfNi2Ru.

extended XYZ file:
```
4
Lattice="0.0000 3.0399 3.0399 3.0399 0.0000 3.0399 3.0399 3.0399 0.0000" Properties=species:S:1:pos:R:3 pbc="T T T"
Hf 0.0000 0.0000 0.0000
Ni 1.5200 1.5200 1.5200
Ni 4.5599 4.5599 4.5599
Ru 3.0399 3.0399 3.0399
```

Calculated values
As for the space group: Fm-3m (225). For the density of states at the Fermi level, the calculation gives 5.6 states/eV per cell.

---

ΔH_f (0 K), record by record: 0.79; -0.38; -0.19 eV/atom

~~~~~

# NdEr2Au6

A relaxed structure of NdEr2Au6 (PBE-GGA, Alexandria).

## Properties
- formation enthalpy at 0 K (eV/atom) = -0.732
- E_tot (eV per atom) = -4.46
- space-group type = C2/c

POSCAR file:
```
NdEr2Au6
1.0
-4.301 0.041 3.094
0.807 -8.048 3.637
3.890 1.660 7.795
Au Er Nd
12 4 2
direct
0.814 0.018 0.753
0.475 0.675 0.436
0.314 0.753 0.018
0.975 0.436 0.675
0.186 0.982 0.247
0.354 0.898 0.644
0.646 0.102 0.356
0.525 0.325 0.564
0.146 0.356 0.102
0.025 0.564 0.325
0.686 0.247 0.982
0.854 0.644 0.898
0.414 0.544 0.790
0.914 0.790 0.544
0.086 0.210 0.456
0.586 0.456 0.210
0.250 0.126 0.874
0.750 0.874 0.126
```
____________
What if your safety light would only stay lit as long as you kept moving? Sounds strange, but that’s exactly the concept behind Million Mile Light, a freshly-launched Kickstarter project that’s “powered by motion and engineered to never give up.” The light, which never needs a battery and, consequently, will theoretically never die, is powered by a tiny, silent, kinetic engine that allows for four ultra bright LEDs to blink with each step you take.
== Attached: data records ==
=====
First-principles (GGA-PBE) data for a relaxed Cd2CoB crystal, as listed in Alexandria via LeMat-Bulk.

ΔH_f (0 K)   531 meV/atom
Total moment   0.00 μB/cell
N(E_F)   0.76 states/eV per atom

Structure (extended XYZ):
```
8
Lattice="-4.7983 -7.6752 1.1361 1.3060 0.5177 9.0139 -3.3324 -2.5617 5.2464" Properties=species:S:1:pos:R:3 pbc="T T T"
Cd -3.4822 -4.4758 9.9958
Cd -2.4685 -3.4528 2.8642
Co 0.0000 0.0000 0.0000
Cd -5.8818 -8.3136 10.5612
Co -4.9384 -6.9078 5.7287
B -1.7462 -3.5787 5.0750
=====
== Back to the article ==
Kinetic chargers definitely aren’t a new thing. They’ve been around for decades at this point, and can be seen in things like self-winding watches and “shake-to-shine” flashlights. Million Mile Light uses this exact same technology, just for a different purpose. The user’s movement (in this case running or jogging) causes magnets inside the device to move. As they jostle around, these magnets push electrons through surrounding wire coils, which creating the electrical current needed for the LED lights to blink.
Robin — Cloud-based smartphone
As you are no doubt aware, smartphones are as common as pigeons these days — but this one is a bit different than what we’re used to seeing. What sets the Nextbit Robin apart from other smartphones is its ability to take apps, photos, and all other forms of media and store them automatically in the cloud. Nextbit is capable of moving apps that haven’t been used, freeing up space that can be used to download more apps, store more music, and take more photos.
Using the latest version of Android, Nextbit has created a program that automatically makes space for more media and apps. On top of the 32GB of onboard storage, it has 100GB of cloud storage where all of the inactive apps, photos, and videos are stored. When you want to use the app again, you tap on the app, let it download and load it up.
Helix — Full-size folding bicycle
Designers have been trying to perfect the “folding bicycle” for ages at this point, but generally speaking, all the compact designs that people have cooked up thus far aren’t all that great. Most of them favor smaller wheels and goofy-looking designs — but Helix aims to change that. Unlike practically every other folding bike in existence, this badboy sports full-sized wheels and a sturdy, well-balanced frame. And thanks to some brilliant engineering, it still manages to fold down into one of the most compact forms that we’ve ever seen.
_Someone pasted data records at this point_
<<<
No. 1
The following is a DFT calculation (PBE-GGA) of crystalline NdDyAs2 at its relaxed geometry.

## Properties
Crystal system: trigonal
Magnetic moment in μB per formula unit: 0.00
ΔE to the lowest computed polymorph in meV/atom: 0
Space-group type: No. 166
Energy of formation in eV per atom: -1.519

a b c (Å): 7.261 7.261 7.261
angles (deg): 33.61 33.61 33.61
Fractional positions:
Nd  0.000  0.000  0.000
Dy  0.500  0.500  0.500
As  0.247  0.247  0.247
As  0.753  0.753  0.753


No. 2
The following is a DFT calculation (PBE-GGA) of crystalline Pr3Mg7Hg2 at its relaxed geometry.

## Properties
Crystal system: trigonal
Magnetic moment in μB per formula unit: 0.00
Space-group type: No. 166
Energy of formation in eV per atom: -0.196

a b c (Å): 10.328 10.328 10.328
angles (deg): 34.35 34.35 34.35
Fractional positions:
Pr  0.000  0.000  0.000
Pr  0.144  0.144  0.144
Pr  0.856  0.856  0.856
Mg  0.078  0.582  0.582
Mg  0.418  0.418  0.922
Mg  0.418  0.922  0.418
Mg  0.500  0.500  0.500
Mg  0.582  0.078  0.582
Mg  0.582  0.582  0.078
Mg  0.922  0.418  0.418
Hg  0.334  0.334  0.334
Hg  0.666  0.666  0.666

* * * * *
>>>
When it’s all bundled up, Helix measures in at just 23 inches long, 25 inches tall, and only 9 inches wide. It’s pretty light, too, tipping the scales at just over 21 pounds. Compared to most other folding bikes, that’s pretty damn lightweight. The lack of heft comes mostly from the frame, which happens to be made of pure titanium — so you’ll never have to worry about it rusting. There’s also no paint to chip or flake off on the bike — just glorious, glimmering metal.
The Beast — Giant quad-extruder 3D printer
On the spectrum of additive manufacturing, there are consumer-level 3D printers at one end, and industrial-level 3D printers at the other — and very little in between. Consumer printers are cheap, compact, and can produce relatively small parts, but if you want to print something bigger, your only option is to upgrade to an industrial printer — which are oftentimes more expensive than your average sports car. Printing big parts (say, over a one cubic foot in volume) is still largely out of reach for consumers.
Australian outfit Cultivate3D wants to change that, and has built a badass new printer to make it happen. The Beast, as they call it, boasts a massive 18.5 x 17 x 27-inch build area — making it possible to print a wide variety of objects that you wouldn’t otherwise be able to. It’s also got a relatively high print resolution, and an unprecedented four-nozzle extrusion system that makes it possible to print four objects at once. And the best part? Even with all these awesome features, it still costs less than $1,900.
Hoverboard — Mono-wheeled skateboard
Full disclosure: this isn’t actually a hoverboard. That’s just what the manufacturer, Hoverboard Technologies, decided to call it, and it’s admittedly a bit misleading. Truth be told, it’s just a mono-wheeled electric skateboard — but it’s still pretty awesome. Instead of the traditional two wheels at the front and back, the Hoverboard features one giant rubber wheel situated directly in the center, and packs an internal motor capable of propelling the board to speeds upwards of 16 miles per hour.
While riding, its built-in gyroscope allows users to balance on the board with their feet placed on either side of the wheel. In addition to its technical specs, the hoverboard also boasts customizable LED lighting, a built-in Bluetooth speaker, and LCD readouts to give you a heads up on any pertinent alerts. According to Bigler’s website, the board is also capable of charging in just 16 minutes and allows for a ride of around ten to twelve miles on a single charge. Considering the fact it weighs in at roughly 25 pounds, we think it’s safe to say running into a dead battery with this thing would be far from ideal.